Saturday, September 24, 2011

Yesterday was not fun.

Someone pasted calculated molecules at this point:
/*
{
  "formula": "C12H16N2O5S2",
  "method": "wB97M-V/def2-TZVPD",
  "multiplicity": 1,
  "homo_lumo_gap_ha": 0.3051,
  "smiles": "O=[N+]([O-])c1cc(S(=O)(=O)N2CCCC2)ccc1SCCO",
  "e_above_lowest_kcal_mol": 80.74,
  "total_charge": 0,
  "e_homo_ev": -9.1,
  "species": ["O", "N", "O", "C", "C", "C", "S", "O", "O", "N", "C", "C", "C", "C", "C", "C", "C", "S", "C", "C", "O", "H", "H", "H", "H", "H", "H", "H", "H", "H", "H", "H", "H", "H", "H", "H", "H"],
  "positions_angstrom": [[0.45, 2.73, 2.17], [-0.63, 2.16, 2.16], [-1.69, 2.69, 2.38], [-0.63, 0.77, 1.77], [-1.60, 0.38, 0.86], [-1.56, -0.89, 0.33], [-2.73, -1.38, -0.95], [-3.94, -0.63, -0.75], [-2.77, -2.81, -0.97], [-2.09, -0.89, -2.40], [-0.81, -1.46, -2.77], [0.25, -0.41, -2.40], [-0.52, 0.92, -2.36], [-1.99, 0.54, -2.63], [-0.60, -1.79, 0.75], [0.34, -1.42, 1.70], [0.35, -0.12, 2.20], [1.50, 0.33, 3.48], [3.07, -0.11, 2.67], [3.50, 1.00, 1.70], [2.52, 1.30, 0.75], [-2.38, 1.07, 0.56], [-0.69, -2.42, -2.26], [-0.82, -1.64, -3.85], [1.06, -0.39, -3.13], [0.69, -0.63, -1.42], [-0.16, 1.61, -3.12], [-0.41, 1.41, -1.39], [-2.71, 1.05, -1.99], [-2.25, 0.73, -3.67], [-0.62, -2.79, 0.35], [1.05, -2.14, 2.06], [2.95, -1.05, 2.15], [3.80, -0.22, 3.47], [4.39, 0.66, 1.15], [3.77, 1.90, 2.28], [1.89, 1.92, 1.15]],
  "nbo_charge": [-0.39, 0.53, -0.34, -0.02, -0.12, -0.36, 2.33, -0.93, -0.93, -0.65, -0.24, -0.43, -0.43, -0.24, -0.15, -0.22, -0.12, 0.26, -0.53, -0.07, -0.74, 0.26, 0.23, 0.21, 0.22, 0.22, 0.22, 0.21, 0.23, 0.21, 0.25, 0.23, 0.22, 0.23, 0.18, 0.17, 0.49]
}

{
  "formula": "C12H16N2O9",
  "method": "wB97M-V/def2-TZVPD",
  "multiplicity": 1,
  "homo_lumo_gap_ha": 0.2705,
  "smiles": "CC(=O)OC(=O)CC1=C(ON=O)C(=O)OC1=O.COC[C@@H](C)N",
  "e_above_lowest_kcal_mol": 97.86,
  "total_charge": 0,
  "e_homo_ev": -9.0,
  "species": ["C", "C", "O", "O", "C", "O", "C", "C", "C", "O", "N", "O", "C", "O", "O", "C", "O", "H", "H", "H", "H", "H", "C", "O", "C", "C", "C", "N", "H", "H", "H", "H", "H", "H", "H", "H", "H", "H", "H"],
  "positions_angstrom": [[-1.36, 3.23, 5.21], [-0.73, 1.94, 5.66], [0.14, 1.83, 6.47], [-1.26, 0.86, 5.02], [-0.58, -0.37, 5.21], [-1.09, -1.24, 5.81], [0.75, -0.43, 4.49], [0.62, -0.53, 3.01], [-0.34, -0.99, 2.21], [-1.53, -1.54, 2.51], [-2.69, -0.46, 2.42], [-3.38, -0.72, 1.56], [0.10, -0.84, 0.78], [-0.49, -1.09, -0.22], [1.38, -0.31, 0.80], [1.74, -0.11, 2.12], [2.80, 0.34, 2.43], [-1.63, 3.80, 6.09], [-0.60, 3.79, 4.66], [-2.23, 3.07, 4.58], [1.31, 0.49, 4.71], [1.33, -1.25, 4.90], [-1.26, 0.06, -5.71], [-1.07, -0.26, -4.35], [-0.18, -1.34, -4.09], [1.31, -0.97, -4.13], [1.87, -0.76, -5.53], [1.61, 0.20, -3.30], [-1.25, -0.84, -6.34], [-0.51, 0.76, -6.08], [-2.24, 0.53, -5.80], [-0.42, -1.67, -3.08], [-0.40, -2.17, -4.78], [1.83, -1.82, -3.68], [1.60, 0.22, -5.92], [2.96, -0.80, -5.50], [1.52, -1.53, -6.22], [1.36, 0.01, -2.34], [1.00, 0.96, -3.59]],
*/

Short version: I have a new root canal. I have no more pain.

Long version: After seeing my regular dentist on Wednesday, I scheduled the root canal for Friday at 12:30. On Thursday, they called me and asked if I could take an earlier appointment at 10:45. I said OK. It was a long drive up to that part of Orlando, so we left yesterday morning around 9:30 since we didn't really know where we were going. It took a bit under an hour, so I was signing into the office at 10:25. It was a nice office, and we were amused that they were running the movie Princess Bride in the waiting room. The movie was just starting up, but about 10 minutes into it, the guy to Mark's right decided to watch something else on his phone or other handheld device. He turned it up ten times louder than the TV and did NOT use ear plugs. I have never seen anybody be that rude in a waiting area before.

I waited until 11ish before my name was called. She asked me for the paperwork I got from the regular dentist, and that's when I realized I had left it all out in the car. That was embarrassing. After sitting in the office for nearly 40 minutes without the papers, I then had to make THEM wait while I went out to the car to get them. OK, they now had the stapled packet I had been given on Wednesday, but it didn't include the proper referral so the visit would not be covered by insurance. What? I told them I didn't realize a referral wasn't stapled there because they actually said, "Be sure to take this referral and these xrays with you to your appointment." Then they handed me the stapled packet which had copies of the xrays in it and some generic paper including this dentist's name and number. I thought that was the referral. So, I told them to call the other office and get it faxed over. They smiled and nodded and told me to have a seat and wait.

That process took over an hour. Finally it was about noon when they called me back to the chair. I sat and sat and sat. I texted Mark a few times. I checked Facebook. About 12:20 the paperwork came through, so I signed all the papers, paid my $20 copay, and finally the doctor came in to give me the shots. It was now 12:30, my original appointment time. Ironic.

The doctor gave me SEVEN shots, but only two hurt. It was weird, but the two that hurt weren't from feeling the needle go in or anything. It seemed to set off the tooth and give me the big toothache feeling I had earlier in the week that precipitated this whole thing. At any rate, the doctor seemed surprised by my reaction. After the shots, he gave me another few minutes to let the novocaine work before he started.

I must say, that if I'm counting correctly, this has to be my 9th root canal. It was by far the best and easiest. The doctor did know what he was doing. I was done and in the car at 1:30 and it had not hurt a bit. Those seven shots did their job! I have only a temporary filling in there, so I'm not allowed to chew on that side or eat anything hard or chewy until I get a permanent filling put in by my regular dentist. I also was advised to take 800 mg of ibuprofen every six hours or as needed for pain. I took a dose when I got home and again after dinner. This morning, it doesn't seem like I will need any.

Except for the extraordinarily long wait to get the process started and my own adrenalin pumping from dread of what was going to happen, it was an easy root canal by a skilled dentist; however, there was a new wrinkle thrown into the mix. Halfway through the procedure, the dentist stopped and started to talk to me. They had to take all the stuff out of my mouth so I could talk back because I had to make decisions.

Apparently, there were a few problems and I had to decide what to do. I have a "three-tooth-bridge" on this side. He drilled down into the bridge to do the work. He said it might damage/crack/destroy the bridge and it would have to be replaced. I knew that going into it. What I didn't know was that there was a huge cavity in the tooth hidden from xrays by the bridge. He found it, cleaned it, and hoped he got it all. He couldn't tell if he got it all because the bridge hides it. So my options were, stop the root canal, go to my regular dentist, have her remove the bridge, look at the tooth to see if he got the whole thing, put in a filling, and make a new bridge. OR continue with the root canal and hope for the best. I asked him if I would be in pain when I left the office if he didn't finish the job today, and he said yes. So then there was no option. I didn't want to go out in pain. Who would? I told him to finish the root canal and hope for the best. I have to go back to the dentist anyway to get a permanent filling put in since I only have a temporary one right now. I can talk to her then about other options, but at least the tooth is dead and should give me no trouble for awhile. I might yet lose the tooth, he said, if he didn't get all the decay. It might spread and get down into the bone. Then I'd feel pain again and lose the tooth. I'm taking that chance. We'll see. Meanwhile, I'm pain free and that's a nice place to be.

The High Holiday season really gets rolling tonight. It's Selichot, the time to start singing the holiday melodies and start asking God and our friends and family for forgiveness. We are going to the late night service at SOJC tonight. It starts at 9:15 with some refreshments and a study session lead by the Rabbi. Another synagogue is joining us, so it should be interesting. As the High Holiday season begins, it's traditional to ask for forgiveness, so let me say right now to anyone reading this blog that if I have in anyway offended you, or upset you, or done anything to you that I should not have, please accept my most sincere apologies. I would never want to do that to anyone. Please forgive me.

L'Shana Tovah to all!


  1. I am glad that you are done with your root canal. I hope that it works out well for you and that you don't have any complications. I am still thankful after reading your note that my dentist always allows me nitrous oxide. I am a baby when it comes to pain issues.

    I think that it is interesting to hear about the Jewish holidays. Thank you for writing about them. I like that there is a holiday to ask for forgiveness. Even though I am not Jewish let me say the same to you. If I have ever written anything to offend you please let me apologize to you. I have absolutely never been offended by anything you have written in your blogs.

  2. Rhonda, you are so sweet. I sincerely thank you for accepting my apologies. Of course, I accept yours as well, but I can't think of a thing you have ever done to offend me either. Possibly that lady on your former cancer support group should consider looking into her heart and asking for forgiveness for her offenses!

Record 1
{
  "formula": "C15H43O7PdS6",
  "method": "wB97M-V/def2-TZVPD",
  "lumo_ev": [-1.91, -2.04],
  "orbital_gap_ev": [7.6, 7.5],
  "e_tot_ha": -3640.53427,
  "s2": 2.0039,
  "homo_ha": [-0.3502, -0.3506],
  "de_lowest_ev": 0.594,
  "spin_multiplicity": 3,
  "total_charge": 1,
  "species": ["Pd", "C", "C", "C", "O", "H", "H", "H", "H", "H", "H", "H", "C", "S", "O", "C", "H", "H", "H", "H", "H", "H", "C", "S", "O", "C", "H", "H", "H", "H", "H", "H", "C", "S", "O", "C", "H", "H", "H", "H", "H", "H", "C", "S", "O", "C", "H", "H", "H", "H", "H", "H", "C", "S", "O", "C", "H", "H", "H", "H", "H", "H", "C", "S", "O", "C", "H", "H", "H", "H", "H", "H"],
  "positions_angstrom": [[-0.5418, -0.2162, 0.2417], [-1.8407, -4.1003, -0.8794], [-1.4223, -2.7239, -1.4141], [-1.6328, -2.6538, -2.9325], [-1.8597, -1.6513, -0.6669], [-2.9174, -4.1948, -1.0497], [-1.6838, -4.0904, 0.2014], [-1.2897, -4.9359, -1.3085], [-0.3143, -2.7710, -1.3180], [-1.5279, -1.6743, -3.4020], [-2.6458, -3.0183, -3.1358], [-0.9158, -3.2958, -3.4508], [1.8531, -4.3068, 0.7821], [2.2567, -2.6929, -0.0058], [1.2810, -1.7006, 0.5432], [3.8072, -2.5236, 0.9339], [0.9161, -4.6021, 0.2972], [1.5487, -4.1502, 1.8148], [2.5510, -5.1227, 0.6176], [4.4556, -3.3925, 0.8298], [3.5570, -2.3928, 1.9883], [4.4060, -1.6522, 0.6631], [-4.2669, 2.7089, 1.5554], [-2.6673, 2.0563, 2.1610], [-2.1737, 1.1215, 1.0853], [-1.6173, 3.5209, 1.9456], [-4.4327, 3.6560, 2.0754], [-5.0491, 1.9840, 1.7447], [-4.1471, 3.0140, 0.5174], [-1.8882, 4.3419, 2.6152], [-1.6788, 3.9243, 0.9324], [-0.5669, 3.2960, 2.1089], [2.8382, 2.7337, 2.1491], [2.1289, 1.5888, 0.9188], [0.6869, 1.3081, 1.3000], [1.9407, 2.7487, -0.4505], [3.8048, 3.0807, 1.7792], [2.9800, 2.2406, 3.1070], [2.2167, 3.6253, 2.2449], [2.8420, 2.7520, -1.0699], [1.8657, 3.7746, -0.0784], [1.0919, 2.5375, -1.0916], [-3.3826, 0.9340, -2.2899], [-1.7655, 1.6993, -2.5728], [-1.0184, 1.2790, -1.3470], [-2.3005, 3.3995, -2.2182], [-3.7021, 1.0875, -1.2607], [-3.2847, -0.1358, -2.4681], [-4.1493, 1.3676, -2.9366], [-3.0392, 3.4209, -1.4234], [-2.6100, 3.9967, -3.0744], [-1.3688, 3.8485, -1.8610], [-0.1718, 0.4756, 4.5607], [-0.5146, -1.1290, 3.8329], [-0.7861, -0.9198, 2.3722], [1.1707, -1.7333, 3.9201], [0.2220, 0.3171, 5.5661], [-1.0638, 1.0946, 4.6289], [0.5785, 0.9848, 3.9552], [1.8882, -1.1091, 3.3846], [1.1993, -2.7213, 3.4690], [1.5093, -1.7770, 4.9571], [2.4867, -1.5918, -3.4135], [1.1249, -0.4099, -2.9888], [1.1491, -0.1344, -1.5085], [1.8166, 1.0393, -3.7861], [3.3410, -1.3794, -2.7768], [2.6096, -1.5196, -4.4934], [2.1160, -2.5964, -3.2187], [1.2744, 1.9732, -3.6528], [1.8988, 0.8942, -4.8649], [2.8245, 1.1940, -3.3906]],

    Mark and I had a similar exchange last night in the car on the way home from the services. Of course husbands and wives are inevitably going to do something to annoy the other, so it's nice to be reminded once a year to ask for forgiveness, really MEAN it, and resolve not to do the same things over again. That's a tall order in a marriage, but we have been married almost 36 years, so I guess it's working.

    It was a great service with about 36 people in attendance, and we continue to be impressed with this new young Rabbi. His wife just gave birth to their second child, a son, this past Monday! They are such a cute young couple. We feel blessed to be a part of this community.
